-- Entries --
=====
1.
Structure and computed PXRD pattern of CoAsS (a DFT-relaxed cell (GGA-PBE, the Materials Project); Cu Kα X-rays).
Neutral-atom scattering factors, no anomalous dispersion.

The 12 most intense peaks (2θ from 10° to 90°), by intensity:
hkl	2θ/deg	d_spacing	I (rel.)
0 2 1	35.77	2.510	1000
0 2 0	31.89	2.806	839
2 1 0	35.98	2.496	822
1 2 1	39.67	2.272	684
1 3 -1	54.00	1.698	568
3 1 1	55.25	1.663	554
1 1 3	54.95	1.671	496
1 0 0	15.90	5.573	486
1 0 2	36.48	2.463	459
2 0 -2	44.80	2.023	434
1 1 1	28.01	3.186	395
1 0 -2	35.16	2.553	391

a = 5.579 Å, b = 5.613 Å, c = 5.618 Å
α = 90.00°, β = 92.55°, γ = 90.00°
Atoms (fractional coordinates):
Co 0.000 0.000 0.000
Co 0.000 0.500 0.500
Co 0.500 0.000 0.500
Co 0.500 0.500 0.000
As 0.123 0.124 0.628
As 0.123 0.376 0.128
As 0.877 0.624 0.872
As 0.877 0.876 0.372
S 0.373 0.618 0.614
S 0.373 0.882 0.114
S 0.627 0.118 0.886
S 0.627 0.382 0.386

2.
Structure and computed PXRD pattern of CoAsS (a DFT-relaxed cell (GGA-PBE, the Materials Project); Cu Kα X-rays).
Neutral-atom scattering factors, no anomalous dispersion.

The 12 most intense peaks (2θ from 10° to 90°), by intensity:
hkl	2θ/deg	d_spacing	I (rel.)
1 1 0	32.44	2.760	1000
1 1 -1	35.60	2.522	848
2 1 1	50.50	1.807	782
1 0 1	25.41	3.505	724
0 1 3	56.21	1.636	617
1 0 -2	35.84	2.505	540
1 1 -2	45.04	2.013	532
1 0 2	38.46	2.341	472
1 1 1	36.94	2.433	470
2 1 -1	48.42	1.880	440
0 2 0	54.26	1.690	422
0 0 1	15.80	5.610	295

a = 4.792 Å, b = 3.381 Å, c = 5.627 Å
α = 90.00°, β = 94.46°, γ = 90.00°
Atoms (fractional coordinates):
Co 0.000 0.000 0.000
Co 0.500 0.500 0.500
As 0.209 0.000 0.636
As 0.791 0.000 0.364
S 0.274 0.500 0.140
S 0.726 0.500 0.860

3.
Structure and computed PXRD pattern of CoAsS (a DFT-relaxed cell (GGA-PBE, the Materials Project); Cu Kα X-rays).
Neutral-atom scattering factors, no anomalous dispersion.

The 12 most intense peaks (2θ from 10° to 90°), by intensity:
hkl	2θ/deg	d_spacing	I (rel.)
1 1 0	32.16	2.783	1000
1 1 1	36.09	2.489	927
1 2 1	50.26	1.815	840
0 1 2	37.76	2.383	652
1 0 3	56.07	1.640	364
2 0 0	52.36	1.747	317
0 1 1	25.12	3.546	307
1 1 2	46.11	1.969	245
2 1 2	66.34	1.409	234
0 1 0	19.31	4.596	206
1 1 3	59.87	1.545	175
0 3 1	62.92	1.477	161

a = 3.495 Å, b = 4.596 Å, c = 5.573 Å
α = 90.00°, β = 90.00°, γ = 90.00°
Atoms (fractional coordinates):
Co 0.000 0.236 0.000
Co 0.500 0.764 0.500
As 0.000 0.461 0.375
As 0.500 0.539 0.875
S 0.000 0.048 0.628
S 0.500 0.952 0.128

4.
Structure and computed PXRD pattern of Co2SbAs (a DFT-relaxed cell (GGA-PBE, the Materials Project); Cu Kα X-rays).
Neutral-atom scattering factors, no anomalous dispersion.

The 12 most intense peaks (2θ from 10° to 90°), by intensity:
hkl	2θ/deg	d_spacing	I (rel.)
1 0 1	32.79	2.731	1000
1 0 2	45.16	2.008	663
1 1 0	48.88	1.863	538
2 1 2	88.84	1.101	178
2 0 2	68.74	1.366	177
2 0 1	60.12	1.539	170
1 0 3	61.37	1.511	155
2 1 1	81.04	1.187	144
2 0 3	82.14	1.173	68
1 0 0	27.64	3.227	54
0 0 4	73.92	1.282	48
1 1 2	61.52	1.507	34

a = 3.726 Å, b = 3.726 Å, c = 5.129 Å
α = 90.00°, β = 90.00°, γ = 120.00°
Atoms (fractional coordinates):
Co 0.000 0.000 0.236
Co 0.000 0.000 0.764
Sb 0.333 0.667 0.500
As 0.667 0.333 0.000

5.
Structure and computed PXRD pattern of CoAsSe (a DFT-relaxed cell (GGA-PBE, the Materials Project); Cu Kα X-rays).
Neutral-atom scattering factors, no anomalous dispersion.

The 12 most intense peaks (2θ from 10° to 90°), by intensity:
hkl	2θ/deg	d_spacing	I (rel.)
2 1 0	34.75	2.581	1000
2 1 1	38.19	2.357	782
3 1 1	52.58	1.740	662
3 2 1	59.96	1.543	409
3 0 2	57.57	1.601	244
2 0 0	30.98	2.886	241
4 2 1	75.47	1.260	204
5 1 1	87.89	1.111	202
2 2 0	44.39	2.041	156
3 3 2	77.57	1.231	96
4 0 0	64.58	1.443	63
4 2 0	73.35	1.291	56

a = 5.772 Å, b = 5.772 Å, c = 5.772 Å
α = 90.00°, β = 90.00°, γ = 90.00°
Atoms (fractional coordinates):
Co 0.002 0.002 0.002
Co 0.498 0.998 0.502
Co 0.502 0.498 0.998
Co 0.998 0.502 0.498
As 0.124 0.876 0.376
As 0.376 0.124 0.876
As 0.624 0.624 0.624
As 0.876 0.376 0.124
Se 0.123 0.623 0.877
Se 0.377 0.377 0.377
=====

-- Wanted --
Type out the material further above verbatim.

-- Result --
1.
Structure and computed PXRD pattern of CoAsS (a DFT-relaxed cell (GGA-PBE, the Materials Project); Cu Kα X-rays).
Neutral-atom scattering factors, no anomalous dispersion.

The 12 most intense peaks (2θ from 10° to 90°), by intensity:
hkl	2θ/deg	d_spacing	I (rel.)
0 2 1	35.77	2.510	1000
0 2 0	31.89	2.806	839
2 1 0	35.98	2.496	822
1 2 1	39.67	2.272	684
1 3 -1	54.00	1.698	568
3 1 1	55.25	1.663	554
1 1 3	54.95	1.671	496
1 0 0	15.90	5.573	486
1 0 2	36.48	2.463	459
2 0 -2	44.80	2.023	434
1 1 1	28.01	3.186	395
1 0 -2	35.16	2.553	391

a = 5.579 Å, b = 5.613 Å, c = 5.618 Å
α = 90.00°, β = 92.55°, γ = 90.00°
Atoms (fractional coordinates):
Co 0.000 0.000 0.000
Co 0.000 0.500 0.500
Co 0.500 0.000 0.500
Co 0.500 0.500 0.000
As 0.123 0.124 0.628
As 0.123 0.376 0.128
As 0.877 0.624 0.872
As 0.877 0.876 0.372
S 0.373 0.618 0.614
S 0.373 0.882 0.114
S 0.627 0.118 0.886
S 0.627 0.382 0.386

2.
Structure and computed PXRD pattern of CoAsS (a DFT-relaxed cell (GGA-PBE, the Materials Project); Cu Kα X-rays).
Neutral-atom scattering factors, no anomalous dispersion.

The 12 most intense peaks (2θ from 10° to 90°), by intensity:
hkl	2θ/deg	d_spacing	I (rel.)
1 1 0	32.44	2.760	1000
1 1 -1	35.60	2.522	848
2 1 1	50.50	1.807	782
1 0 1	25.41	3.505	724
0 1 3	56.21	1.636	617
1 0 -2	35.84	2.505	540
1 1 -2	45.04	2.013	532
1 0 2	38.46	2.341	472
1 1 1	36.94	2.433	470
2 1 -1	48.42	1.880	440
0 2 0	54.26	1.690	422
0 0 1	15.80	5.610	295

a = 4.792 Å, b = 3.381 Å, c = 5.627 Å
α = 90.00°, β = 94.46°, γ = 90.00°
Atoms (fractional coordinates):
Co 0.000 0.000 0.000
Co 0.500 0.500 0.500
As 0.209 0.000 0.636
As 0.791 0.000 0.364
S 0.274 0.500 0.140
S 0.726 0.500 0.860

3.
Structure and computed PXRD pattern of CoAsS (a DFT-relaxed cell (GGA-PBE, the Materials Project); Cu Kα X-rays).
Neutral-atom scattering factors, no anomalous dispersion.

The 12 most intense peaks (2θ from 10° to 90°), by intensity:
hkl	2θ/deg	d_spacing	I (rel.)
1 1 0	32.16	2.783	1000
1 1 1	36.09	2.489	927
1 2 1	50.26	1.815	840
0 1 2	37.76	2.383	652
1 0 3	56.07	1.640	364
2 0 0	52.36	1.747	317
0 1 1	25.12	3.546	307
1 1 2	46.11	1.969	245
2 1 2	66.34	1.409	234
0 1 0	19.31	4.596	206
1 1 3	59.87	1.545	175
0 3 1	62.92	1.477	161

a = 3.495 Å, b = 4.596 Å, c = 5.573 Å
α = 90.00°, β = 90.00°, γ = 90.00°
Atoms (fractional coordinates):
Co 0.000 0.236 0.000
Co 0.500 0.764 0.500
As 0.000 0.461 0.375
As 0.500 0.539 0.875
S 0.000 0.048 0.628
S 0.500 0.952 0.128

4.
Structure and computed PXRD pattern of Co2SbAs (a DFT-relaxed cell (GGA-PBE, the Materials Project); Cu Kα X-rays).
Neutral-atom scattering factors, no anomalous dispersion.

The 12 most intense peaks (2θ from 10° to 90°), by intensity:
hkl	2θ/deg	d_spacing	I (rel.)
1 0 1	32.79	2.731	1000
1 0 2	45.16	2.008	663
1 1 0	48.88	1.863	538
2 1 2	88.84	1.101	178
2 0 2	68.74	1.366	177
2 0 1	60.12	1.539	170
1 0 3	61.37	1.511	155
2 1 1	81.04	1.187	144
2 0 3	82.14	1.173	68
1 0 0	27.64	3.227	54
0 0 4	73.92	1.282	48
1 1 2	61.52	1.507	34

a = 3.726 Å, b = 3.726 Å, c = 5.129 Å
α = 90.00°, β = 90.00°, γ = 120.00°
Atoms (fractional coordinates):
Co 0.000 0.000 0.236
Co 0.000 0.000 0.764
Sb 0.333 0.667 0.500
As 0.667 0.333 0.000

5.
Structure and computed PXRD pattern of CoAsSe (a DFT-relaxed cell (GGA-PBE, the Materials Project); Cu Kα X-rays).
Neutral-atom scattering factors, no anomalous dispersion.

The 12 most intense peaks (2θ from 10° to 90°), by intensity:
hkl	2θ/deg	d_spacing	I (rel.)
2 1 0	34.75	2.581	1000
2 1 1	38.19	2.357	782
3 1 1	52.58	1.740	662
3 2 1	59.96	1.543	409
3 0 2	57.57	1.601	244
2 0 0	30.98	2.886	241
4 2 1	75.47	1.260	204
5 1 1	87.89	1.111	202
2 2 0	44.39	2.041	156
3 3 2	77.57	1.231	96
4 0 0	64.58	1.443	63
4 2 0	73.35	1.291	56

a = 5.772 Å, b = 5.772 Å, c = 5.772 Å
α = 90.00°, β = 90.00°, γ = 90.00°
Atoms (fractional coordinates):
Co 0.002 0.002 0.002
Co 0.498 0.998 0.502
Co 0.502 0.498 0.998
Co 0.998 0.502 0.498
As 0.124 0.876 0.376
As 0.376 0.124 0.876
As 0.624 0.624 0.624
As 0.876 0.376 0.124
Se 0.123 0.623 0.877
Se 0.377 0.377 0.377